Is this the worst costume ever? Dressing as 9/11

Warning; the stupidity on display here will make your head hurt. Two students in the UK dressed up for a Halloween fancy dress as the North and South Towers being struck by the planes on 9/11. They won £150 (about $240) after being voted the best costume.

Other party-goers made their feelings clear to the establishment, but were told:

Jimmy Savile is a well-known now dead child abuser, for those unaware. Is there a stupider fathomable costume idea than this? Have you seen anything worse? Let us know.

Trayvon Martin (via blackface) and Robert Zimmerman.

They dressed up as some buildings. What’s the big deal?

Well, no. They dressed up as a couple buildings being hit and exploding in direct reference to a tragic event. They didn’t dress as a couple nondescript skyscrapers. From the article:

Misplaced crystal structures =
=====
A relaxed structure of CoCuRh2, computed with GGA-PBE.

The crystal system is orthorhombic. The value obtained for the volume is 13.08 Å³/atom. As for the formation energy: 0.104 eV per atom. The magnetization comes out at 2.54 Bohr magnetons per cell. The offset from the most stable computed form is 0.072 eV/atom.

It has space group Pmm2 (No. 25), with a = 2.680 Å, b = 3.713 Å, c = 5.259 Å, α = 90.00°, β = 90.00° and γ = 90.00°. The distinct sites, in fractional coordinates, are Co at (0.000, 0.000, 0.000), Cu at (0.500, 0.500, 0.243), Rh at (0.000, 0.000, 0.490) and Rh at (0.500, 0.500, 0.760).



A relaxed structure of SmGdPdPb, computed with GGA-PBE.

The crystal system is cubic. The value obtained for the volume is 26.09 Å³/atom. As for the formation energy: -0.603 eV per atom. The magnetization comes out at 29.07 Bohr magnetons per cell.

It has space group F-43m (No. 216), with a = 7.474 Å, b = 7.474 Å, c = 7.474 Å, α = 90.00°, β = 90.00° and γ = 90.00°. The distinct sites, in fractional coordinates, are Sm at (0.000, 0.000, 0.000), Gd at (0.000, 0.000, 0.500), Pd at (0.250, 0.250, 0.750) and Pb at (0.250, 0.250, 0.250).



A relaxed structure of KBPb, computed with GGA-PBE.

The crystal system is triclinic. The value obtained for the volume is 30.49 Å³/atom. As for the formation energy: 0.445 eV per atom. The magnetization comes out at 0.00 Bohr magnetons per cell. The offset from the most stable computed form is 0.307 eV/atom.

It has space group P1 (No. 1), with a = 3.976 Å, b = 7.274 Å, c = 7.522 Å, α = 62.20°, β = 74.94° and γ = 74.27°. The distinct sites, in fractional coordinates, are K at (0.000, 0.000, 0.000), K at (0.180, 0.409, 0.231), B at (0.694, 0.691, 0.915), B at (0.830, 0.523, 0.825), Pb at (0.433, 0.493, 0.644) and Pb at (0.759, 0.922, 0.562).



A relaxed structure of TlC3, computed with GGA-PBE.

The crystal system is tetragonal. The value obtained for the volume is 18.10 Å³/atom. As for the formation energy: 0.786 eV per atom. The magnetization comes out at 0.00 Bohr magnetons per cell. The offset from the most stable computed form is 0.006 eV/atom.

It has space group P4/mmm (No. 123), with a = 4.299 Å, b = 4.299 Å, c = 3.917 Å, α = 90.00°, β = 90.00° and γ = 90.00°. The distinct sites, in fractional coordinates, are Tl at (0.000, 0.000, 0.000), C at (0.500, 0.500, 0.000) and C at (0.500, 0.500, 0.334).



A relaxed structure of FeSi, computed with GGA-PBE.

The crystal system is trigonal. The value obtained for the volume is 12.52 Å³/atom. For the energy relative to the elements, uncorrected, the calculation gives -0.15 eV per atom. The magnetization comes out at 7.52 Bohr magnetons per cell.

It has space group R-3m (No. 166, hexagonal axes), with a = 3.8188 Å, b = 3.8188 Å, c = 11.8915 Å, α = 90.00°, β = 90.00° and γ = 120.00°. The distinct sites, in fractional coordinates, are Fe at (0.0000, 0.0000, 0.1951) and Si at (0.0000, 0.0000, 0.3922).



A relaxed structure of La2GeSb3Rh4, computed with GGA-PBE.
=====

I’m not particularly outraged (though I think it’s tacky and stupid and wouldn’t want to be friends with them) but saying they just dressed as “some buildings” is disingenuous.

too soon?

I had a co-worker dress up as one of the towers being hit by a plane for Halloween…2001! Yes, he took a shitload of heat from the people at the party he attended. But I don’t think he gave a shit.

[Misplaced data records]
+++
This record from Alexandria describes crystalline Mn2AlCrGa at its relaxed geometry. The functional is PBE. Values from VASP.

theoretical density: 4.871 Mg/m³
size of the total moment: 0.8608 μB per atom
DOS at the Fermi energy: 1.09 states/eV/atom
formation enthalpy at 0 K: 0.83 eV per atom
total energy: -0.2247 Ha/atom

Structure (Quantum ESPRESSO input):
```
&SYSTEM
  ibrav = 0, nat = 5, ntyp = 4
/
ATOMIC_SPECIES
Mn 54.94 Mn.upf
Al 26.98 Al.upf
Cr 52.00 Cr.upf
Ga 69.72 Ga.upf
ATOMIC_POSITIONS crystal
Mn 0.0000 0.5000 0.0000
Mn 0.5000 0.0000 0.0000
Al 0.0000 0.0000 0.5000
Cr 0.5000 0.5000 0.0000
Ga 0.5000 0.5000 0.5000
CELL_PARAMETERS angstrom
4.3502 0.0000 0.0000
0.0000 4.3502 0.0000
0.0000 0.0000 4.6584
```

=====

{
  "formula": "KBHPd2",
  "functional": "GGA-PBE",
  "state": "relaxed",
  "lattice_angstrom": [[4.076, 0.000, 0.000], [0.000, 5.663, 0.000], [0.000, 0.000, 4.076]],
  "species": ["B", "H", "Pd", "Pd", "K"],
  "fractional_positions": [[0.000, 0.000, 0.000], [0.000, 0.500, 0.000], [0.500, 0.000, 0.000], [0.000, 0.000, 0.500], [0.500, 0.500, 0.500]],
  "mass_density_g_cm3": 4.657,
  "e_tot_ev_per_atom": -3.9857,
  "spacegroup": "P4/mmm, No. 123"
}
+++

I think the biggest problem with the girls’ costumes is that they appear to have attempted a bit of sexiness with it-- a little too leggy for an act of terrorism.

It’s a nightclub costume contest. Which makes me think “provocative” and “mature audiences only”.

I had some friends do it in 2001 too. And then they ditched the costume and came back with doll parts in jars and declared themselves “abortion doctors.”

It was a party for a group of friends who are in to dark humor. No one was offended.

Here’s a great costume idea.

Those wacky Iranians!

My vote goes to this chick who dressed as a runner injured by the bombing at the Boston Marathon.

With 9/11 you could argue that there’s at least some distance. To the people who know folks who did it in 2001, were any of them in New York? I was going to add that I don’t think those young ladies would have won any contests there.

Nothing is ever too leggy :stuck_out_tongue:

Too leggy

arghhh! my eyes!!! nightmares!!! :mad:

If you think that’s bad, I regularly get these things in my apartment and they can scurry very quickly. I recently was cleaning, moved a rug and one of them darted out from under it and under my couch. Never found him. He’s still out there … somewhere.

Back in 2002 or 2003 or thereabouts, I had a group of 3 friends dress up in similar costumes. One of them dressed up as a plane, and the other 2 as skyscrapers. The one dressed up as a plane would run head first into the others and the 2 skyscrapers would fall down.

Tasteless? Yes.
Probably not the best idea? Yes.
Pretty offensive? Yes.
Funny as hell? You bet.

Sometimes people just need to stop trying to make certain subjects taboo and lighten up. There’s much more important things to worry about in the world than someones Halloween costume.

There’s “more important things to worry about” than most things. But tacky, pathetic people are still tacky and pathetic no matter how they compare again global hunger or nuclear war.

^ : puts his 1972-era Uganduayan rugby player costume back on the shelf :

But they need to be standing straight up, with some of their legs in flames, and burning flied embedded in them. Then add some ants leaping to their death.

Aside from whatever else is wrong about this, those are terrible costumes, in the sense that they don’t look like what they’re supposed to represent. If they weren’t helpfully labeled “north tower” and “south tower” I’d think those two girls were doing a weird take-off of Oscar the Grouch, because it looks like they’re wrapped in a garbage can.

Now that’s a Halloween costume.